Until recently, I didn’t think that Chuck Grassley would have any difficulty getting reelected. The Democrats don’t have really high-profile contenders, and Grassley has a lot of seniority and remains fairly popular in Iowa. But I’m starting to wonder whether Grassley might be putting himself in jeopardy. As the Ranking Member of the Senate Finance Committee, he provides the public face to Republican obstruction of Obama’s health care reform. If health care doesn’t get done, or if it has to be done through the budget reconciliation process because the Finance Committee can’t report out an acceptable bill, then Grassley is going to get a lot of blame for that. And he’s now joined the ranks of the Deathers. The Deathers are people who are spreading the rumor that the end-of-life counseling (i.e., advice on filling out a Living Will) in the health care proposals is the equivalent of the Federal Government performing euthanasia on you against your wishes. Sarah Palin repeated that inanity yesterday. Only a shrieking idiot would make such a claim, but apparently Grassley is now a shrieking idiot. Yesterday, he said this in a town-hall meeting:
“In the House bill, there is counseling for end of life,” Grassley said. “You have every right to fear. You shouldn’t have counseling at the end of life, you should have done that 20 years before. Should not have a government run plan to decide when to pull the plug on grandma.”
He’s convinced Chairman Baucus to remove funding for end-of-life counseling from the Finance Committee bill.
The veteran Iowa lawmaker said the end-of-life provision in those [other committees’] bills would pay physicians to “advise patients about end-of-life care and rate physician quality of care based on the creation of and adherence to orders for end-of-life care.
“Maybe others can defend a bill like the Pelosi bill that leaves major issues open to interpretation, but I can’t,” Grassley added.
It’s open to interpretation that Iowa is land-locked, but that doesn’t mean anyone who thinks it sits on the Indian Ocean isn’t an ignorant fool. Sometimes when senators get old they start to lose their judgment. Even popular politicians can lose the support of the electorate if people can see that they’re slowing going nuts. Grassley should have an easy reelection but if he doesn’t stop acting like a jackass the people of Iowa just might rethink things. Iowa, after all, has a special relationship with Barack Obama. I don’t think they will reward a half-demented Grassley for obstructing his agenda.
Clearly, Grassley and the Republicans believe otherwise. They’ve managed to convince millions that the GOP is saving them from Obama’s death squads, and that the revolution must start with beating back the tyranny of providing affordable health insurance for all Americans.
It worked in 94. Why won’t it work in 2010?
Grassley seemed demented as far back as the Clinton impeachment hearings, and that hasn’t seemed to stop him
Max Baucus is the one at fault here. A weak Democrat chairing an important committee is a recipe for disaster.
[Unrelated to this page: data records]
-- begin --
Entry 1:
C6H30O12 | wB97M-V/def2-TZVPD

The HOMO-LUMO gap comes out at 9.63 eV. The calculation puts the molar mass at 294.29 g/mol. As for the SMILES: OCCO.OCCO.OCCO.O.O.O.O.O.O.

```
! wB97M-V def2-TZVPD RIJCOSX def2/J DEFGRID3
* xyz 0 1
O -2.626 -2.475 0.278
O 1.299 -0.066 1.528
O -0.367 -1.009 -0.387
O -1.367 1.828 1.489
O 0.963 4.694 -1.484
O -0.400 -4.675 0.833
O -0.860 1.948 5.000
O -1.982 0.768 -1.987
O 1.198 -3.500 -2.142
O 2.395 -0.460 -1.855
O -2.702 -1.306 -3.497
O 2.435 1.876 0.058
C 0.591 -3.951 0.150
C 1.898 3.727 -1.167
C 1.342 2.581 -0.379
C 0.134 -3.902 -1.334
C -1.610 2.147 2.842
C -0.737 1.426 3.710
H -0.057 -4.870 -1.588
H -2.222 -3.263 0.676
H 2.621 -0.002 -1.055
H 1.712 -2.840 -1.690
H 0.835 1.895 -1.007
H 2.687 4.223 -0.618
H 0.552 -0.801 -0.684
H 1.690 0.615 0.942
H 0.794 2.843 0.483
H -2.712 1.969 3.097
H -2.354 -0.529 -3.075
H 2.325 3.360 -2.077
H 0.567 -0.422 1.022
H -0.820 0.332 3.701
H 1.577 -4.538 0.258
H -3.275 -0.808 -4.119
H 3.153 -0.928 -2.127
H -1.671 0.926 1.316
H -0.798 -3.322 -1.445
H -0.078 2.513 5.220
H -1.581 3.271 2.898
H -2.839 1.120 -1.718
H 0.312 1.629 3.426
H -0.483 -5.610 0.503
H -1.847 -2.034 -0.057
H -1.827 1.129 -2.895
H -0.924 -0.428 -0.921
H 3.072 2.401 0.584
H 1.419 5.542 -1.346
H 0.578 -3.026 0.635
*
```



Entry 2:
C6H30O9 | wB97M-V/def2-TZVPD

The HOMO-LUMO gap comes out at 10.11 eV. The calculation puts the molar mass at 246.30 g/mol. As for the SMILES: C=CCCCC.O.O.O.O.O.O.O.O.O.

```
! wB97M-V def2-TZVPD RIJCOSX def2/J DEFGRID3
* xyz 0 1
O -2.634 0.832 2.303
O 0.336 -3.265 -2.465
O -2.432 -1.812 -3.182
O -1.379 4.330 2.035
O -0.711 1.783 -4.203
O -2.097 1.680 -1.030
O -1.893 -2.505 0.043
O -1.359 4.415 -0.914
O 0.538 -0.264 -2.220
C 2.741 -1.259 2.097
C 2.176 -2.214 1.212
C 1.162 1.641 1.091
C 0.911 -2.846 1.934
C 2.023 0.760 0.675
C 3.064 0.064 1.533
H -2.309 0.137 1.686
H 3.613 -1.606 2.760
H 1.270 2.122 2.066
H -0.385 -4.016 -2.444
H -0.521 4.070 2.343
H -1.828 5.003 -0.353
H -3.473 0.479 2.501
H 0.969 -1.124 -2.080
H 0.962 -3.870 2.171
H 0.003 -2.805 1.362
H -2.727 -2.944 -0.262
H 0.448 2.123 0.389
H 2.017 -1.252 3.059
H 4.108 0.034 1.048
H -1.505 -2.103 -0.674
H -0.604 4.261 -0.254
H 3.328 0.926 2.356
H -1.839 1.521 -0.051
H -0.977 2.613 -4.583
H 0.524 -2.131 2.865
H 2.832 -3.079 0.968
H 1.873 0.287 -0.353
H -0.530 1.958 -3.219
H 0.293 -3.384 -3.417
H -1.983 -1.111 -3.631
H 1.955 -1.654 0.320
H -1.943 -1.731 -2.434
H -0.327 -0.128 -1.710
H -1.683 2.482 -1.255
H -2.006 3.583 1.916
*
```



Entry 3:
C6H31N2O10 | wB97M-V/def2-TZVPD

The HOMO-LUMO gap (spin up / spin down) comes out at 8.08 / 3.63 eV. The calculation puts the molar mass at 291.32 g/mol.

```
! wB97M-V def2-TZVPD RIJCOSX def2/J DEFGRID3
* xyz 2 2
O -3.310 -2.005 -2.185
O 0.940 -1.226 -0.729
O -0.619 -3.041 -1.971
O 3.826 -1.564 0.939
O -0.206 0.764 4.258
O 4.009 0.283 -1.651
O -1.525 -3.460 0.401
O 1.680 -1.840 3.356
O 0.908 2.342 2.326
O -0.328 -1.701 1.687
N -2.251 0.500 -0.841
N -1.500 0.881 1.184
-- stop --
[The data records stop here]
In order for Grassley to lose, someone must run against him.
Are you kidding? Obama would probably campaign for Grassley with a glad heart.
No kidding. All the while the wingnuts are out there comparing Obama to Adolf Hitler, I’m beginning to think the appropriate Nazi-era comparison is to Paul von Hindenburg, the weak and naive Weimar president who basically let Hitler walk all over him and into power.
Did I really support this out-of-touch, weak-willed, and easily hoodwinked fool over Hillary Clinton? Yes, yes I did, and I am now profoundly sorry that I did so. Whatever other faults Clinton might have, she wouldn’t have been a doormat for Chuck Grassley and the growing Sturmabteilung of the GOP; she’d have shoved his bullshit right back up his lying ass.
When I got home this evening, the lead headline at HuffPost is proclaiming Obama’s willingness to continue working with Chuck “The gummint will smother grandma” Grassley. Work with him?
Maybe Obama should go back to spending all his time subsidizing Goldman-Sachs and covering up Bush-era war crimes and find someone with balls to actually fight for us. I didn’t spend hours waiting in line at the polls last November so this turkey could sit on his ass and make conciliatory noises to right-wing extremists.
Hillary Clinton was the CIA candidate in the Democratic race. Take out a photo of her standing among a roomful of generals, play back her soundbite about bombing Iran, think back fondly on her warm butt-slapping of John McCain, and then look at some of her supporters. Gloria Steinem, “ex” CIA propagandist who managed to drive a wedge between people of color and feminism in her op-ed piece in the NYT. Larry Johnson, the “ex” CIA propagandist, who spread racist bile throughout the campaign. Even Valerie Plame, whose Brewster Jennings gig may have in fact been over at the beginning of the first Bush Administration, out there plugging for Hillary.
And if you think that Hillary would do any better in the healthcare debate please flip back your diary to 1993.
Still, your comparison to the Weimar Republic is right on target. Add these similarities:
Modern militias versus the Black Reichswehr. After WWII there were secret reactionary militarized groups in Germany. Political assassinations knocked off everyone from communists like Rosa Luxemburg to right of center Catholic candidates. Think about your political assassinations here in the U.S. How come the assassins bullets seem to always drift to the left? Okay, except when the former head of the CIA is the Vice President.
_The entry is interrupted by calculated molecules_
/*
No. 1
Here is a structure of composition C14H28N6O6Ti at a distorted geometry from the OMol25 dataset. Energies are from ωB97M-V/def2-TZVPD.

Output
2S+1	2
strongest force on any atom	0.0756	hartree/bohr
E_HOMO (alpha / beta)	-11.362 / -11.501	eV
total energy	-2179.18954	hartree
charge	+1

Element x y z (Å)
O -1.26357 -0.48808 -3.77210
H -0.81525 -0.07814 -4.54077
Ti -0.57748 0.35647 -0.69743
N -0.69569 2.03266 0.49056
N 1.26259 1.36599 -1.18769
N -1.88409 -0.54281 0.62743
N -0.60131 -1.69721 -1.34356
O -1.65906 2.36247 1.32742
O -2.60132 0.09191 1.59052
O -0.16071 -2.14073 -2.51800
O 2.33639 0.95261 -1.73119
C 1.34745 2.58576 -0.58300
C 0.30210 2.94538 0.30027
C -2.05352 -1.88885 0.49323
C -1.34146 -2.52981 -0.56159
C 0.27880 4.16724 1.13639
H 0.52084 3.85453 2.16051
H -0.69916 4.66422 1.14810
H 1.02609 4.89238 0.80372
C 2.59913 3.34883 -0.81900
H 2.82655 3.41357 -1.89032
H 3.44577 2.84803 -0.32705
H 2.52551 4.36966 -0.43440
C -2.94456 -2.64102 1.40879
C -1.45610 -3.99918 -0.81751
H -3.40150 -1.96496 2.13378
H -2.37783 -3.41626 1.94268
H -3.74744 -3.14931 0.85687
H -0.85624 -4.28586 -1.68469
H -2.49976 -4.29627 -0.99493
H -1.11233 -4.58654 0.04508
H -2.23996 1.12046 1.52618
H -0.68361 -1.32344 -3.29631
C -1.59512 0.88507 -2.25650
H -0.53830 1.18583 -2.49970
H -2.17219 0.07988 -1.73970
H -2.31531 1.55301 -2.74759
O -4.48524 3.21415 0.57269
H -4.98178 2.38066 0.59249
H -3.56343 2.94391 0.78971
C 4.30612 -2.27934 -0.21087
C 3.14792 -1.64735 0.43749
C 2.76876 -1.48354 1.77106
C 1.54963 -0.78414 1.74788
N 1.18821 -0.59464 0.46364
N 2.18626 -1.10283 -0.29533
C 0.73433 -0.26249 2.85758
H 5.13650 -1.56681 -0.31428
H 4.63613 -3.11555 0.41448
H 4.05128 -2.65983 -1.20908
H 3.30458 -1.80791 2.64986
H 2.25976 -0.89516 -1.30328
H -0.22836 -0.78712 2.92384
H 1.27729 -0.41439 3.79863
H 0.53369 0.81488 2.76498

***

No. 2
Here is a structure of composition C23H33CrIO4Si2 at a distorted geometry from the OMol25 dataset. Energies are from ωB97M-V/def2-TZVPD.

Output
ΔE to the lowest compared entry with this formula, charge and spin	21.3	kJ/mol
2S+1	2
strongest force on any atom	0.0234	hartree/bohr
E_HOMO (alpha / beta)	-4.614 / -4.006	eV
total energy	-3118.47165	hartree
charge	-1

Element x y z (Å)
Cr 0.05043 0.10851 0.21208
C 3.22608 2.55809 1.70484
C 2.61377 1.27881 1.20535
O 1.47221 1.31081 0.77618
C 3.35555 0.01908 1.21187
C 4.70038 -0.01307 1.61781
C 5.43271 -1.17267 1.61137
C 4.79634 -2.35218 1.17768
C 3.48732 -2.35295 0.77904
C 2.70002 -1.16572 0.79360
O 1.45113 -1.25365 0.44075
H 2.50089 3.35754 1.58135
H 4.13817 2.80763 1.15870
H 3.48743 2.46608 2.76164
H 5.17436 0.90849 1.93766
H 6.46584 -1.18007 1.93069
H 5.35482 -3.28134 1.15453
H 2.99692 -3.25875 0.44256
C -1.26675 3.91080 0.40454
Si -1.77006 2.63471 -0.88163
C -2.27597 3.67140 -2.36322
C -3.30361 1.69763 -0.36372
C -0.37903 1.51795 -1.23075
Si -0.34477 0.64192 -2.84598
C -1.94693 -0.14080 -3.33975
C 0.10585 1.80764 -4.25040
C 1.02081 -0.63457 -2.83278
H -2.05425 4.08831 1.14614
*/
Think about the thuggery of the brownshirts and Mussolini’s blackshirts and who financed them (German and Italian corporations) and who is backing the birthers and death panelists.
Have a nice day.
All Grassley did was put-an-end to bipartisanship, because really the Republicans have to at least meet you half-way. And when Sen Grassley gives the President Obama a back-handed slap to the face with his comments on death panels, it puts an end to bipartisan negotiations.
Get all the Democrats on Ship and steam-roll the Republicans into submission. None of them will vote for health care reform…it will be just like the stimulus packages they’ll make amendments and then all vote “no.”
I disagree .. .depending on what is in the bill .. I think you could see as many as 5 Republicans voting for the bill
I think the point is that we don’t need a single Republican vote and we aren’t likely to get enough to justify a single concession to them. I’m not sure we want a single Republican vote, because that handful of fair-weather friends will just use the success of the health care program to deny their seats to good Democrats.
We have more than bent over backwards for these assholes. It’s time to crush them mercilessly.
Actually they need plenty of Republican votes – Ben Nelson, Max Baucus, Evan Bayh …
If you’re not going to get any of the Republicans with the (R) by their name, you’re going to need to get all of the Republicans with a (D) by their names to get it passed. Which is what this bi-partisan kabuki is all about – an attempt to create a climate where the Republicans with (D)s by their names are willing to vote for a health care bill.
Entry 1:
ORCA calculation (ωB97M-V/def2-TZVPD) on a cluster of 4 separate species, C20H47F2N5O4S in total at a distorted geometry.

The geometry in XYZ format:
```
79
Properties=species:S:1:pos:R:3:forces:R:3:mulliken_charge:R:1
O 1.529 -0.866 0.756 -4.3 -0.4 -8.7 -0.47
C 0.916 -0.926 -0.438 3.7 1.6 6.6 0.61
F 1.201 0.163 -1.409 -1.6 -4.4 2.7 -0.18
N -0.050 -2.073 -0.657 -2.2 3.8 -0.4 -0.17
C -1.254 -1.657 -1.499 1.3 0.7 -8.2 0.06
O -1.127 -1.473 -2.835 -0.7 -1.1 9.4 -0.32
N -2.645 -1.485 -0.928 3.0 0.6 0.4 -0.18
S -2.923 0.108 -0.272 -8.1 5.0 2.0 1.16
O -3.645 -0.002 1.095 4.0 -0.7 -4.6 -0.51
O -3.879 0.950 -1.201 5.2 -3.8 2.7 -0.52
F -1.518 1.065 -0.052 -2.0 -2.8 -0.7 -0.25
H -0.453 -2.265 0.304 1.2 0.2 -1.1 0.36
H -2.912 -2.254 -0.275 0.2 1.1 0.0 0.39
C -4.819 3.021 2.353 0.0 -0.2 0.0 -1.14
C -4.781 3.321 3.849 -0.2 -0.1 -0.1 -0.31
N -5.942 2.813 4.585 -0.2 0.2 0.3 0.07
C -6.048 3.353 5.945 -0.1 0.2 -0.3 -0.69
C -4.942 2.997 6.932 0.1 0.0 0.4 -0.95
C -6.219 1.382 4.457 0.0 0.1 -0.4 -0.68
C -5.116 0.409 4.863 0.1 -0.3 0.1 -0.94
H -5.746 3.385 1.899 0.1 -0.1 0.1 0.32
H -3.982 3.521 1.852 -0.1 -0.1 0.1 0.44
H -4.727 1.950 2.149 0.0 0.2 0.0 0.03
H -4.745 4.413 3.951 -0.1 -0.2 0.3 0.42
H -3.842 2.937 4.263 0.2 0.0 0.0 0.25
H -7.013 3.062 6.377 0.1 -0.1 -0.2 0.35
H -6.095 4.447 5.872 0.1 -0.1 -0.2 0.40
H -5.024 1.964 7.276 0.1 0.1 -0.1 0.21
H -5.024 3.633 7.821 0.0 -0.1 -0.1 0.39
H -3.943 3.151 6.515 -0.1 0.0 0.0 0.27
H -6.484 1.175 3.413 0.1 0.2 0.1 0.36
H -7.129 1.133 5.016 0.1 0.3 0.1 0.34
H -4.136 0.696 4.472 -0.1 0.0 0.0 0.22
H -5.343 -0.587 4.468 0.0 0.1 0.0 0.36
H -5.044 0.310 5.948 0.1 0.0 -0.1 0.28
C 4.724 0.046 0.851 -0.1 -0.1 0.1 -1.36
C 5.840 0.501 1.787 -0.2 0.2 0.0 -0.33
N 5.389 1.394 2.858 0.2 0.3 0.1 0.10
C 6.491 2.057 3.564 -0.1 0.1 -0.3 -0.68
C 7.454 1.176 4.352 0.3 0.0 0.3 -0.95
C 4.312 0.891 3.713 -0.2 0.0 -0.4 -0.67
C 4.550 -0.423 4.451 -0.1 -0.2 0.3 -1.00
H 4.184 0.902 0.433 0.0 -0.1 0.1 0.33
H 5.147 -0.523 0.016 0.0 0.1 0.1 0.46
H 4.006 -0.605 1.358 0.1 0.1 -0.1 0.21
H 6.574 1.033 1.168 0.0 0.1 0.3 0.42
H 6.350 -0.382 2.186 0.1 -0.2 0.0 0.24
H 6.083 2.822 4.236 -0.2 -0.2 -0.1 0.34
H 7.075 2.619 2.825 -0.1 -0.1 -0.1 0.40
H 7.005 0.814 5.278 0.0 -0.1 -0.1 0.22
H 8.338 1.761 4.635 -0.1 -0.1 0.0 0.39
H 7.807 0.318 3.772 -0.1 0.1 0.1 0.27
H 3.411 0.775 3.098 0.2 0.0 -0.1 0.35
H 4.036 1.660 4.445 0.3 0.0 -0.2 0.34
H 4.987 -1.193 3.811 0.0 0.1 0.0 0.25
H 3.595 -0.812 4.820 0.1 0.0 0.0 0.38
H 5.193 -0.286 5.322 0.0 -0.1 -0.1 0.30
C 0.205 -3.018 -9.994 0.1 -0.1 0.0 -1.41
C -0.040 -2.155 -8.760 0.0 -0.3 0.1 -0.31
N -0.246 -2.925 -7.530 -0.3 0.0 0.2 0.12
C -0.769 -2.119 -6.422 -0.2 -0.1 -0.2 -0.74
C 0.118 -1.003 -5.881 0.1 0.3 0.3 -0.89
C 0.812 -3.871 -7.170 -0.1 -0.1 -0.4 -0.68
C 2.222 -3.318 -6.986 0.3 0.0 0.2 -0.93
H -0.597 -3.750 -10.132 0.1 0.1 0.1 0.33
H 0.239 -2.387 -10.889 0.0 -0.1 0.2 0.43
H 1.159 -3.552 -9.936 -0.1 0.0 0.0 0.29
H -0.942 -1.563 -8.963 0.1 -0.1 0.3 0.43
H 0.785 -1.442 -8.657 0.1 0.1 -0.1 0.27
Isn’t there a method that pet-project funding for Baucus, Bayh and Nelson can be “held back” by Congress or the Administration. The threat of a little administrative backlog for their stimulus money should make them remember their Democratic and not “Pharmacrats”
Yes, there’s a method. It’s called the Executive Branch. Congress can allocate all the funds it wants for whatever it wants, but if the president sits on his hands about it (and orders the appropriate executive agencies to sit on their hands about it), then not a goddamn thing happens.
Given that this president seems to be a past master at the art of sitting on his hands, he should be quite effective at it.
Give them a slap and they start apologizing and fawning. The Democratic Party is a battered woman.
P.S. Applies to men, too. I think McCain got Battered Woman Syndrome in Vietnam.
GOP politicians like Grassley are in a tough spot. They have to raise tons of money to get re-elected, and the only way to do that is to say batshit crazy stuff that will energize their base. If they made sense in their public statements, they would not enjoy enough support among their wingnut constituency. Didn’t Joseph Heller try to make a case something like this in “Catch-22?”
according to Wikipedia he belongs to The Family
So does Hillary Clinton.
Small world, folks. Now let us prey.
prey! nice! last year I attended a small (20 ppl or so) presentation by Jeff Sharlet about it with lots of q&a. Sounded like Hillary has more a peripheral involvement. Though she’s always been involved in religious orgs (but mainstream, i.e. in methodist orgs in college iirc) I don’t see her as a theocratic randian unlike the others. Have no idea about Grassley, but maybe someone’s influence is being felt? Or maybe he’s just flipped out.
Using his own words, I agree with his last portion of the quoted statement above. You shouldn’t have counseling at the end of life but well before that time. The bill provides counseling FOR end of life. The first portion of his quote confirms that the bill will provide assistance for end of life decisions. It does not limit such counseling to those lying on their death bed. The “deathers” should look for something else to get riled up about, perhaps the unequitable income distribution in our country?